Google helps fund takedown projectGoogle-funded report generates desired headlines and conveniently downplays the role of DMCA counter-notices–ignoring fact the system is weighted against rights holders

A new report on the DMCA notice and takedown system, Notice and Takedown in Everyday Practice, was released yesterday.  Co-authored by researchers at Berkeley Law and Columbia University (collaborators for The Takedown Project), the release is clearly timed to generate buzz to coincide with the April 1st deadline for comments to the U.S. Copyright Office on the state of the 512 statute.

The study is said to offer, “a rare, in-depth, empirical look at ways online copyright disputes are handled between Internet companies, such as Google and YouTube, and content creators, such as movie, music, and publishing companies.”  Hmmm, color me a tad suspicious of any piracy-related report funded by Google*.

You can read the full 160 page document here, and despite the fact Google is a main funder, I was hopeful that the report would provide an honest look at the current sad state of the DMCA notice and takedown system. What initially encouraged me was this paragraph in the Berkeley Law announcement:

The co-authors reveal how online copyright issues have led to problematic practices that threaten free expression, but they also highlight methods that effectively protect both content creators and providers.

However, my hopes for a fair examination of the issues were (mostly) dashed by this tidbit:

Although there are “counter notice” procedures for users, it is unclear if they work well.

Of course, I really shouldn’t be surprised by this intentional oversight, particularly when the research is conducted through the generosity of Google. How can one purport to do an, “in-depth, empirical look at ways online copyright disputes are handled between Internet companies, such as Google and YouTube, and content creators, such as movie, music, and publishing companies” without finding clarity on a major piece of the current notice & takedown process?

Drilling down into the actual report I found summary regarding counter-notices on page 128:

Study 1 OSPs described hesitating to encourage targeted users to send counter notices, even when it seemed appropriate, for fear of creating liability risk for targets and themselves. Unbalanced liability standards—fear of suit by copyright holders but not users—creates incentives for OSPs to take down material. Moreover, some of the main targets of large-scale requests— search services—have no service relationship with targets or any duty to inform them that links are being removed, making it highly unlikely that the target would know to send a counter notice. Further, as we discuss in recommendations, section 512 currently leaves unclear whether search engines are protected for putback like hosting entities, exacerbating the challenge. Overall, the counter-notice process’s procedural features make it difficult for OSPs to use it as intended. The counter notice process contains other flaws. In Study 1, OSPs described it as intimidating and confusing for targets. 

I am not an attorney, but in my anti-piracy work I’ve repeatedly found the counter-notice system to be weighted against the rights-holder.   I ran the above statement by a couple of copyright law experts and they agreed the concerns regarding OSP’s (online service providers) increased liability seems suspect.  The only thing required by a counter-notice is that the sender provides real contact information (a good thing). The Takedown Project touts the need for “greater transparency” in the notice & takedown system so it would seem that identification of the parties involved in a copyright dispute is only fair.


Once YouTube receives counter-notice, pirated movie goes back online unless rights holder goes to federal court to enforce takedown.

I’ve written about my experience with sending a takedown notice on YouTube (for the removal of a full-length feature film that uploaded) and having the sender respond with a counter-notice.  BTW, in contrast to the report’s characterization of the process, YouTube makes it very easy.  Once the counter-notice (claiming “fair use”) was sent, I was powerless because the law requires the sender of the DMCA takedown to go to court to enforce a request.  Since the filmmaker I represented didn’t have the financial resources to do that, YouTube reposted the ENTIRE FILM 10 days later.  You tell me, who is the loser in this scenario?  It’s one that’s happened to me multiple times on YouTube.  Why does the report downplay the frequent abuse of the counter-notice system?

I’m also curious as to why researchers had such difficulty finding examples of counter-notices?  Obviously the vast majority of takedown notices are valid and would be unlikely to generate a counter-notice but if takedown abuse is as rampant as researchers claim, there must be enough to cull meaningful data from.  Yet, according to the researchers, “…all available evidence suggests that counter notices are simply not used. It is indicative of the problem that the most memorable uses of counter notices for our rightsholder respondents were a few bad-faith, bogus counter notices from overseas pirates.” 

It’s worth noting that the Lumen database (previously Chilling Effects) that provided researchers with the takedown notices used in the study offers a tool for generating a counter-notice. Why doesn’t Lumen offer a database for counter-notices too?   Did researchers simply give this issue short shrift because data was more difficult to come by, or because it would be an inconvenient truth, or both?

I brought up my concerns about counter-notice abuse with Berkeley researchers in 2014

In fact, in October of 2014 I participated in the USPTO’s ongoing series of public multi-stakeholder forums on improving efficiency the DMCA Notice & Takedown system.  At the time Brianna Schofield, a teaching fellow at the clinic who assisted with the report’s research, gave a presentation about the study.   As part of the Q & A follow-up I raised the issue of invalid/inaccurate counter-notices with her, hoping to bring attention to the issue.  I’m disappointed to see that this issue didn’t garner a more rigorous look.

Although I haven’t had time to give the report a thorough reading, even with a cursory review I found more cause for skepticism.

The report makes for good (false) headlines, but the data is suspect

Berkeley Law’s story announcing the report’s findings claims that a study “found nearly a third (28.4%) raised at least one question about their validity.”   Of course this characterization is intended to raise eyebrows, details of which can be found on page 2 of the research summary:

• Calculated molecules, kept here for reference:
~~~
(1)
The following is a DFT calculation (ωB97M-V/def2-TZVPD) of a 2-piece molecular cluster, C2H7NS3 overall.

HOMO level (spin up / spin down): -7.687 / -8.629 eV
Electronic energy: -36180.5999 eV
ΔE to the lowest compared entry with this formula, charge and spin: 135.1 kJ/mol

Structure (ORCA input):
```
! RIJCOSX wB97M-V def2-TZVPD def2/J DEFGRID3
* xyz 0 1
H 1.272 0.581 -1.374
H 1.490 -0.561 0.450
C 0.281 0.314 -1.620
N -0.124 -0.861 -0.778
S -1.735 1.588 0.961
H -0.381 1.180 -1.316
H 0.033 0.244 -2.634
S -0.436 1.874 2.595
S -1.664 -1.242 -0.657
C 0.902 -1.345 0.100
H 0.483 -1.617 1.100
H 1.379 -2.181 -0.430
H -1.499 2.026 3.603
*
```

(2)
The following is a DFT calculation (ωB97M-V/def2-TZVPD) of C57H49CaCl2N11O4P2SSe2 as an isolated structure.

HOMO level: -2.367 eV
Electronic energy: -288086.3044 eV
ΔE to the lowest compared entry with this formula, charge and spin: 0.0 kJ/mol

Structure (ORCA input):
```
! RIJCOSX wB97M-V def2-TZVPD def2/J DEFGRID3
* xyz -2 1
O 5.549 2.223 0.303
H -1.178 -0.451 4.200
C 3.936 0.997 1.511
H -6.336 4.706 1.473
C -2.276 1.334 4.705
C 1.127 -2.883 -2.886
H -0.713 1.625 -4.463
N -0.999 -0.686 -1.454
H 1.994 -4.409 2.819
H 0.845 3.170 -4.667
C -0.296 2.983 -3.018
S 4.209 -2.176 -1.267
H -2.515 7.351 0.859
C 4.594 1.280 2.705
H -3.098 3.094 -1.586
H 4.574 4.126 -0.802
C 1.560 -1.042 -4.173
H 4.499 -4.538 2.427
C 0.699 -3.146 1.684
C -4.269 -2.201 0.227
C 3.715 2.741 -4.280
C -0.577 -2.596 1.581
H 0.955 -3.273 -1.890
P -4.392 0.595 -0.452
H -3.224 -2.186 -0.036
H -6.681 -4.338 1.292
C 1.275 -3.150 -5.249
C 0.030 -4.284 3.700
H 4.661 -6.287 2.713
C 5.492 -5.298 -2.464
H -5.842 1.432 4.195
C -6.220 -3.418 0.950
O 1.531 -1.739 -0.014
H -5.415 3.312 -0.343
C -5.022 -1.037 0.117
N -2.294 -0.624 -1.311
C -5.711 1.866 3.211
C 4.434 1.683 0.252
Se 1.025 3.257 0.960
C -1.543 -2.884 2.537
C -1.598 2.225 2.135
H 6.005 -5.368 1.999
H 4.787 -6.614 0.204
C 2.391 -0.284 2.601
N -0.413 0.380 -0.909
H -4.457 5.047 -2.187
H -0.783 -1.936 0.743
Ca 2.074 -0.050 -1.093
C 1.938 0.418 -4.229
H 0.270 -4.937 4.532
C -3.601 6.315 -0.678
C -1.163 0.978 2.606
C -2.066 4.097 0.013
H -0.523 0.372 1.974
H -6.591 3.746 3.750
C 4.585 4.497 -2.900
H -4.198 7.177 -0.951
C -2.602 0.501 -0.610
N 2.759 -3.622 0.587
H 1.215 4.242 -3.397
H -8.047 -2.289 1.019
H 6.217 -3.711 -1.218
C 4.332 3.731 -1.776
N 2.854 0.218 1.460
C 4.345 -5.715 0.640
H -1.991 -3.950 4.347
C -1.383 1.176 -0.386
H 2.513 -0.441 4.735
H 3.502 2.353 -5.265
N 1.367 -1.576 -2.968
Cl 4.741 4.860 -5.611
Cl 5.248 6.099 -2.706
H -2.559 0.989 5.694
H 1.245 -3.768 -6.138
H 1.625 -1.289 -6.294
C -1.240 -3.728 3.598
C 2.956 -0.028 3.838
C -6.985 -2.265 0.807
N -1.075 2.028 -3.609
C 1.492 -1.788 -5.345
C 4.916 -5.467 2.034
N 3.565 1.636 -0.765
C -6.140 3.160 2.957
C -5.450 2.931 0.666
C 4.325 3.976 -4.161
Se -5.387 1.130 -2.245
H 1.513 -0.917 2.529
H -2.690 4.000 2.658
H 5.471 1.909 2.667
C -4.870 -3.386 0.645
O 1.510 1.114 -5.183
C 3.785 2.447 -1.874
H 3.269 -5.849 0.712
C 0.997 -3.992 2.748
~~~
• The calculated molecules stop here:

Study 2’s quantitative analysis revealed deficiencies in notice and takedown procedures, especially automated requests, as all takedown requests in the sample appeared to be automated. Nearly 30% of takedown requests were of questionable validity. In one in twenty-five cases, targeted content did not match the identified infringed work, suggesting that 4.5 million requests in the entire six-month data set were fundamentally flawed. Another 15% of the requests raised questions about whether they had sufficiently identified the allegedly infringed work of the allegedly infringing material. The analysis further identified significant questions related to the availability of potential fair use defense, complaints grounded on improper (non-copyright) claims, and requests sent to defunct web sites.

Note amid this gobbledygook that phrases like one in 25 actually equals only 4.2% but meanwhile that means 4.5 million over six months…sounds like a lot until you remember that Google handles 2 million requests per day.  Adding to the confusion over results is that this “report” actually consolidates 3 separate studies making it difficult to figure out which end is up and what percentage means what…purposeful chaos. In study number 3 one bad actor was responsible for 53% of problematic takedowns tallied. Throw out a bunch of percentages hoping they stick somewhere, somehow…

Strikingly, nearly 53% of the Google Image Search takedown requests were from one individual sender, Ella Miller.17 All of these requests appeared to be improper subject matter for DMCA takedown—none were copyright complaints. 

BTW, she’s described as a “European individual who is embroiled in an online dispute about modeling photographs taken of her.”  Along with eye-popping percentages, the report includes a myriad of pretty charts to display this colorful, yet dubious data. Why bother to include this particular red herring’s notices in the study when the report notes they weren’t copyright complaints?

More striking is the question, why did researchers include this outlier’s data in their results?

It’s also ironic so much weight is given to notices sent by Ms. Miller given researchers’ glib dismissal of false counter-notices with the observation that “the most memorable uses of counter notices for our rightsholder respondents were a few bad-faith, bogus counter notices from overseas pirates.”  Meanwhile, the majority of problematic takedowns highlighted in the report were bad faith, bogus takedown notices from one overseas model.  

If Ms. Miller is such a problem, take her to court.  After all, a legal counter-notice requires a sender to be truthful and to swear, under penalty of perjury, that the document is correct.   Talk about blowing something out of proportion.  One confused, overzealous variety-piracy-study-headlinesindividual with a grudge is not representative of the millions who send legit DMCA takedown notices.

Of course, for folks in the Googlesphere these bogus numbers generated by the study had the desired effect…prompted, as if on cue, screaming headlines in Variety that read, Policing the Pirates: 30% of Takedown Requests Are Questionable (Study).  Google lobbyists in Washington are no doubt quite pleased as they circulate this particular press clipping around town.

Personal blogs and social media sites are often used (knowingly) to promote piracy

Bogus headlines aside, the report also predictably raises the oft-used canard of free speech, that the DMCA is used as a nefarious cudgel against those poor bloggers et al (never mind that it was apparently the notorious “less sophisticated” Ms. Miller who was doing most of the targeting).

The third study, which focused on notices from less sophisticated senders, raised still greater concerns. These notices often targeted social media, blogs, and personal websites, raising questions about their effect on freedom of expression—and more than seven out of ten (72%) presented questions about their validity. Strikingly, more than half (all problematic) were from one individual sender. Of the rest, 36.8% were still questionable.

This Google-hosted pirate site offered dozens of free streams to indie films

This Google-hosted pirate site offered dozens of free
streams to indie films

Again, my experience fighting piracy has repeatedly led to personal blogs and social media accounts with Google’s Blogger platform and Facebook leading the way.  In fact, blogs hosted by Google (Blogspot sites) seem to offer pirates an easy and affordable way to set up shop to distribute their stolen movies and music.  I can state without hesitation that all the DMCA notices I sent to remove pirated movies off Blogger’s sites (and there have been hundreds) were accurate.

Everyone agrees that the DMCA is in dire need of an overhaul for the 21st century, but to conveniently ignore the fact that it currently puts content creators at a distinct disadvantage is disingenuous.  It’s also worth reminding this report’s readers to remember who’s behind it, where the money comes from, and what types of entity finds support via its legal advocacy.  Let’s just say that indie artists whose works are routinely stolen and monetized (aided by companies like Google) aren’t included.

There are some positives in this report, particularly the suggestion to improve access to takedown technology for indie artists.  From page 149 of the report:

In Congressional testimony, 359 representatives of independent artists and other smaller senders also criticized a lack of meaningful access to the more sophisticated enforcement methods (including automation, REO contracts, and monetization strategies) available to larger copyright holders. Although we did not speak with small senders directly, we note that the competition issues that arise with content filtering and monetization issues (see Section III.E.) also affect independent artists, smaller labels, and other individual creators. Further information-sharing and research efforts would also be beneficial:

  • Exploring ways to make monetization models more available to independent artists, smaller labels, other individual creators, and follow-on users.360
  • Exploring how to make automated tools to search for potential infringements more available to independent artists, smaller labels, and other individual creators.361 Crucially, these tools must follow the best practices outlined above in order to avoid exacerbating the issues we observed with mistake and abuse. In general, any expansion of automated systems should occur in combination with the liability-balancing measures suggested in Section V.D.1 in order to ensure that mistaken or abusive notices are minimized.

In my view this should be a key part of any effort to update the DMCA.  There’s no reason OSPs cannot implement technology designed to offer a more efficient and effective takedown process. Making such tools available to creators of all stripes could help mitigate the negative impact of online piracy and copyright infringement.

One of the report’s authors, Joe Karaganis, vice president of The American Assembly at Columbia University, pulls out another favorite anti-copyright meme when he offers this summation that suggests a “rebalancing” is in order.

Ideally, I hope that our work convinces policymakers that some rebalancing of responsibilities is required so that the senders of notices are a bit more on the hook for bad takedown requests.

Sorry Joe, but there’s already a “hook” in place to deter “bad” takedown requests….the counter-notice.  Of course, as I explained earlier in this post, that discussion was conveniently side-stepped by these studies.

And so it goes…overblown data, fancy charts, Google talking points, suspect timing….

GoogleiathClearly there are ways to update the DMCA that will benefit consumers and creators alike, but making false claims about how the law does or doesn’t work won’t accomplish much beyond reinforcing well-worn tech talking points in advance of efforts to remake the DMCA.

In the meantime I can suggest one very simple way to lower these questionable takedown numbers…companies like Google should do more to prevent online piracy and copyright infringement.  


*Here’s what the report says about its funder in its acknowledgements on page 5:

We are grateful for funding support from Google Inc. as a gift to The American Assembly and from the Sloan Foundation for its support through the Berkeley Law Digital Library Copyright Project. Neither funder directed our approach in any way, and neither funder reviewed any methods, data, results, or reporting before public release.